Prototype and how Class works in Javascript

Prototype and how Class works in Javascript


3 min read

I am not going to tell you what is the prototype in javascript. Let's explore it.

Just create an html and js file. Add the js file to html file and run it in the web browser.

function ab() {



Now check the console of your browser.

Screen Shot 2022-10-01 at 11.37.18 PM.png

Yeahhhhh! We get the prototype.

Prototype is the property of every function which is pointed to an object.

We are sure about the prototype is the property of every function. But it is pointed as an object, we don't explore it yet. We have to deep drive to understand it.

Now, if we want to write a common code for the Bird with some properties and some methods. How you can do this? You will write the below code maybe.

class Bird {
    constructor(name) { = name;

    fly() {
        console.log(`${} is flying`);
    sing() {
        console.log(`${} can not sing`);

const crow = new Bird('crow');

# Next to the piece, the page also holds calculated crystals
1.
A relaxed Na2Y4Si3Sn4S9O48 crystal. Source: the Materials Project database, functional PBE.

formation energy from the elements	-2.382	eV/atom
space group	No. 1
VASP energy	-6.704	eV/atom

The structure in POSCAR format:
```
Na2Y4Si3Sn4S9O48
1.0
18.038 -0.042 0.090
-4.528 7.826 0.006
0.113 0.082 23.669
O S Y Sn Si Na
144 27 12 12 9 6
direct
0.843 0.547 0.533
0.115 0.058 0.304
0.066 0.653 0.368
0.897 0.965 0.418
0.758 0.650 0.867
0.476 0.777 0.797
0.750 0.304 0.738
0.511 0.829 0.409
0.743 0.127 0.922
0.737 0.105 0.636
0.979 0.782 0.803
0.937 0.369 0.641
0.078 0.518 0.576
0.256 0.863 0.368
0.592 0.194 0.692
0.266 0.684 0.972
0.101 0.207 0.699
0.249 0.195 0.238
0.939 0.518 0.424
0.492 0.814 0.084
0.094 0.195 0.094
0.501 0.806 0.694
0.679 0.860 0.575
0.897 0.832 0.910
0.227 0.147 0.533
0.396 0.828 0.916
0.979 0.177 0.297
0.073 0.636 0.080
0.072 0.450 0.251
0.773 0.684 0.251
0.078 0.698 0.471
0.011 0.192 0.908
0.253 0.857 0.077
0.152 0.845 0.972
0.653 0.456 0.474
0.069 0.682 0.758
0.271 0.858 0.750
0.688 0.508 0.074
0.423 0.303 0.532
0.768 0.850 0.474
0.177 0.872 0.858
0.615 0.171 0.803
0.092 0.991 0.192
0.907 0.796 0.589
0.576 0.511 0.578
0.076 0.970 0.909
0.413 0.790 0.305
0.578 0.460 0.970
0.179 0.499 0.075
0.163 0.855 0.253
0.664 0.472 0.754
0.917 0.302 0.241
0.272 0.845 0.471
0.822 0.521 0.921
0.157 0.460 0.472
0.599 0.201 0.087
0.855 0.173 0.749
0.396 0.961 0.409
0.852 0.536 0.240
0.072 0.441 0.966
0.407 0.019 0.089
0.475 0.172 0.302
0.174 0.478 0.368
0.311 0.515 0.637
0.814 0.520 0.635
0.899 0.987 0.703
0.916 0.040 0.806
0.007 0.808 0.701
0.568 0.452 0.257
0.408 0.039 0.797
0.341 0.135 0.032
0.599 0.993 0.193
0.354 0.534 0.248
0.113 0.179 0.801
0.754 0.650 0.576
0.611 0.051 0.306
0.101 0.004 0.590
0.441 0.373 0.642
0.565 0.477 0.868
0.087 0.206 0.418
0.898 0.816 0.195
0.567 0.684 0.751
0.933 0.499 0.141
0.675 0.870 0.867
0.750 0.196 0.242
0.515 0.205 0.916
0.762 0.868 0.369
0.726 0.309 0.031
0.424 0.533 0.026
0.321 0.119 0.422
0.248 0.152 0.917
0.934 0.344 0.919
0.996 0.179 0.588
0.822 0.122 0.423
0.488 0.160 0.592
0.438 0.359 0.924
0.187 0.870 0.575
0.242 0.358 0.424
0.587 0.966 0.917
0.668 0.858 0.259
0.164 0.458 0.757
0.240 0.302 0.743
0.759 0.859 0.076
0.004 0.198 0.194
0.573 0.185 0.412
0.658 0.852 0.971
0.394 0.806 0.202
0.912 0.020 0.096
0.562 0.651 0.366
0.398 0.988 0.695
0.314 0.110 0.134
0.924 0.545 0.030
0.261 0.653 0.868
0.237 0.369 0.135
0.850 0.139 0.034
0.988 0.815 0.093
0.062 0.470 0.864
0.411 0.526 0.741
0.240 0.115 0.635
0.594 0.993 0.595
0.923 0.312 0.528
0.572 0.704 0.468
0.434 0.524 0.421
0.775 0.867 0.762
0.411 0.799 0.597
0.321 0.519 0.922
0.739 0.366 0.133
0.576 0.639 0.077
0.747 0.342 0.419
0.346 0.167 0.740
0.217 0.298 0.035
0.272 0.676 0.263
0.349 0.555 0.536
0.813 0.107 0.135
0.915 0.530 0.746
0.502 0.203 0.199
0.679 0.486 0.360
0.718 0.140 0.536
0.259 0.657 0.577
0.772 0.696 0.969
0.436 0.507 0.139
0.910 0.784 0.297
0.414 0.301 0.246
0.016 0.826 0.416
0.166 0.377 0.419
0.834 0.034 0.085
0.811 0.949 0.420

WAIT.... WAIT! Javascript is not a class-based language, then how do we write class-based code in Javascript?

Honestly, Javascript has class. Javascript supports class inheritance, getter, setter, polymorphism, and so on.

Are you confused now?

Warning: Don't damage yourself. I am not responsible for any kind of damage ๐Ÿ˜Š

Javascript class and other languages OOP class has the same syntaxes. But don't follow the same process under the hood. Javascript has completed all class-related tasks to manipulate the prototype. Javascript is actually don't understand class. (I am not mad, trust me ๐Ÿ˜ž)

Anyways, let's see how the above code works under the hood. Let's jump to the code.

function Bird(name) { = name;

Bird.prototype = {
    fly() {
        console.log(`${} is flying`);
    sing() {
        console.log(`${} can not sing`);

const crow = new Bird('crow');

We know Bird function has a property named prototype. Javascript pushed all the methods in the prototype and access it from there. Now, you must have a question in your mind, we just call crow.sing() instead of crow.prototype.sing(). When do we reference the prototype object?

You know, Javascript is very smart. Actually, javascript is created reference under the hood. Let's explore, how js do that under the hood and how much js make our life easy. ๐Ÿ˜‡

function Bird(name) {
    let this = Object.create(Bird.prototype); = name;
    return this;

Attached: data records.
┌──
No. 1
# LiTaWO6

Crystalline LiTaWO6 at its relaxed geometry (PBE with a Hubbard U, the Materials Project).

Cell lengths 7.375, 7.375, 7.375 Å; angles 120.30, 119.60, 90.09 degrees
Fractional positions:
1 O 0.440 0.690 0.373
2 W 0.500 0.000 0.500
3 Li 0.000 0.500 0.500
4 Li 0.500 0.500 0.000
5 O 0.426 0.676 0.750
6 O 0.560 0.310 0.627
7 O 0.817 0.066 0.127
8 Ta 0.500 0.000 0.000
9 O 0.183 0.310 0.249
10 O 0.807 0.057 0.750
11 O 0.560 0.934 0.251
12 O 0.574 0.324 0.250
13 W 0.000 0.000 0.000
14 O 0.193 0.943 0.250
15 O 0.440 0.066 0.749
16 O 0.817 0.690 0.751
17 O 0.183 0.934 0.873
18 Ta 0.500 0.500 0.500

Relative energy among the computed polymorphs = 3.4 kJ per mole of atoms
Calculated volume = 15.8 Å³/atom
Energy relative to the elements = -2.6256 eV/atom
MP2020-corrected energy = -8.89 eV/atom
Crystal system = orthorhombic
Electronic total energy = -142.97 eV per cell

No. 2
# BaCaWF7

Crystalline BaCaWF7 at its relaxed geometry (PBE with a Hubbard U, the Materials Project).

Cell lengths 10.661, 5.977, 10.271 Å; angles 88.66, 90.00, 90.00 degrees
Fractional positions:
1 F 0.282 0.011 0.755
2 F 0.075 0.880 0.607
3 F 0.040 0.413 0.121
4 W 0.121 0.190 0.690
5 F 0.718 0.989 0.245
6 F 0.708 0.518 0.735
7 F 0.544 0.351 0.124
8 F 0.206 0.290 0.511
9 Ba 0.337 0.730 0.501
10 F 0.425 0.880 0.107
11 F 0.540 0.587 0.379
12 F 0.208 0.482 0.765
13 F 0.964 0.929 0.135
14 W 0.621 0.810 0.810
15 F 0.464 0.071 0.365
16 F 0.294 0.290 0.011
17 W 0.379 0.190 0.190
18 Ca 0.594 0.696 0.181
19 Ca 0.406 0.304 0.819
20 F 0.292 0.482 0.265
21 F 0.794 0.710 0.489
22 F 0.456 0.649 0.876
23 F 0.706 0.710 0.989
24 F 0.956 0.351 0.624
25 F 0.036 0.071 0.865
26 F 0.460 0.413 0.621
27 Ba 0.163 0.730 0.001
28 F 0.536 0.929 0.635
29 Ca 0.094 0.304 0.319
30 Ba 0.663 0.270 0.499
31 F 0.575 0.120 0.893
32 F 0.218 0.011 0.255
33 F 0.044 0.649 0.376
34 F 0.925 0.120 0.393
35 Ba 0.837 0.270 0.999
36 Ca 0.906 0.696 0.681
37 F 0.782 0.989 0.745
38 F 0.960 0.587 0.879
39 F 0.792 0.518 0.235
40 W 0.879 0.810 0.310

Calculated volume = 16.4 Å³/atom
Energy relative to the elements = -3.5170 eV/atom
MP2020-corrected energy = -6.55 eV/atom
Crystal system = monoclinic
Electronic total energy = -231.13 eV per cell

No. 3
# NbNi2BO6

Crystalline NbNi2BO6 at its relaxed geometry (PBE with a Hubbard U, the Materials Project).

Cell lengths 4.539, 8.732, 10.217 Å; angles 90.00, 90.00, 90.00 degrees
Fractional positions:
1 Nb 0.975 0.750 0.920
2 B 0.090 0.750 0.226
3 Ni 0.520 0.570 0.136
4 O 0.260 0.083 0.038
5 Nb 0.525 0.750 0.420
6 O 0.239 0.884 0.292
7 O 0.240 0.083 0.538
8 O 0.261 0.616 0.792
9 O 0.229 0.250 0.773
10 O 0.760 0.583 0.462
11 O 0.761 0.384 0.708
12 Ni 0.980 0.930 0.636
13 O 0.740 0.583 0.962
14 O 0.240 0.417 0.538
15 O 0.716 0.250 0.415
16 B 0.910 0.250 0.774
17 Ni 0.020 0.070 0.364
18 O 0.761 0.116 0.708
19 Ni 0.020 0.430 0.364
20 Ni 0.980 0.570 0.636
21 O 0.760 0.917 0.462
22 O 0.284 0.750 0.585
23 Ni 0.480 0.070 0.864
24 B 0.590 0.250 0.274
25 O 0.784 0.250 0.915
└──

Bird.prototype = {

    fly() {
        console.log(`${} is flying`);
    sing() {
        console.log(`${} can not sing`);

const crow =  Bird('crow');

This code is not running, because this keyword is the build-in keyword of javascript. But js is doing the same as the above code under the hood. When we call the function with new keyword like new Bird('crow'). Javascript is executed let this = Object.create(Bird.prototype); and return this for you. How sweet, isn't it?

Here, Object.create is created the reference for constructor function Bird with the prototype Bird.prototype.

I know you don't believe in strangers and you need proof to believe the above statement. Let's jump to the code again.

function Bird(name) {
    let animal = Object.create(Bird.prototype); = name;
    return animal;

Bird.prototype = {

    fly() {
        console.log(`${} is flying`);
    sing() {
        console.log(`${} can not sing`);

const crow = Bird('crow');

You get the same answer as before. Actually, js don't know which will be your variable name. It can be anything instead of animal, right? So, js is created this variable as this.

I really hope, now you justify the prototype definition and why the prototype is very important for Javascript.

Happy coding ๐Ÿ™‚
